_Wanted_
Reproduce the rows further down from the line with "3:nbo_charge:R:1" to the end exactly.
_File_
The following is a quantum chemistry calculation of a gas-phase ion, C3H9NO3PS (charge -1) at a distorted geometry, from the OMol25 dataset.

## Properties
SMILES: CCN[C@@H](S)[P@](=O)([O-])O
Spin multiplicity: 1
Total charge: -1
Orbital gap (eV): 8.387

Geometry as XYZ:
```
18
Properties=species:S:1:pos:R:3:forces:R:3:nbo_charge:R:1
C -1.73838 -0.38062 0.30515 -0.2 -0.1 0.3 -0.62
C -0.80276 0.07426 -0.81033 -1.8 -1.7 -2.6 -0.25
C 1.40768 -0.24553 0.64887 -0.5 1.1 -5.3 -0.52
N 0.28983 0.78315 -0.28224 2.6 -0.6 1.5 -0.67
O 3.10733 0.03268 -1.57983 -0.3 1.4 2.5 -1.14
O 3.14265 1.80485 0.44572 0.0 0.1 -1.4 -1.01
O 4.32920 -0.51613 0.62628 -1.8 1.2 -0.2 -1.16
P 3.20296 0.24923 -0.06707 0.2 -2.2 -0.5 2.31
S 1.14937 -1.95886 0.07471 0.1 0.3 0.8 -0.09
H -0.97358 -0.59196 1.09818 -1.3 0.0 -0.1 0.21
H -2.51949 0.34222 0.65286 0.8 -0.4 -0.1 0.19
H -2.22709 -1.34138 -0.00064 0.2 0.8 0.5 0.19
H -1.25954 0.50356 -1.76515 0.2 0.7 1.6 0.19
H -0.68239 -0.92455 -1.34393 1.3 0.6 0.6 0.16
H 1.07760 -0.11657 1.62492 -0.2 0.4 1.7 0.18
H 0.84624 1.26778 -0.99812 -0.1 -0.7 0.4 0.38
H 3.37573 1.88086 1.36157 0.3 -0.2 0.7 0.49
H 2.45082 -2.02627 -0.14488 0.5 -0.7 -0.3 0.16
```
Forces are in eV/Å.


The following is a quantum chemistry calculation of 5 unconnected molecules or ions with the total composition C27H64O19P4 at a distorted geometry, from the OMol25 dataset.

## Properties
SMILES: CCOP(=O)(OCC)OCC.CCOP(=O)(OCC)OCC.CCOP(=O)(OCC)OCC.CCOP(=O)(OCC)OCC.O=C1OCCO1
Spin multiplicity: 1
Total charge: 0
Orbital gap (eV): 10.417

Geometry as XYZ:
```
114
Properties=species:S:1:pos:R:3:forces:R:3:lowdin_charge:R:1
C 14.78172 -13.77882 -25.36760 -1.6 0.6 -0.2 -0.14
C 15.20687 -14.93340 -24.49463 0.0 -0.3 -1.1 -0.10
O 16.63230 -14.75099 -24.52066 0.2 -0.6 0.9 0.05
C 16.98092 -14.06051 -25.60646 0.4 1.2 -1.1 -0.58
O 18.07844 -13.83862 -26.01653 -0.1 -0.6 0.6 0.16
O 15.88284 -13.54271 -26.22004 0.2 -0.2 0.5 0.07
H 14.52850 -12.90028 -24.76290 0.4 0.1 -0.1 0.13
H 13.91374 -13.93986 -26.01027 0.0 -0.4 0.2 0.13
H 14.99713 -15.88773 -24.98561 -0.1 -0.1 0.2 0.13
H 14.77332 -14.91516 -23.50011 0.4 0.1 0.2 0.13
C 15.10586 -19.97358 -16.70216 0.0 -0.1 -1.4 -0.07
C 13.88940 -20.88164 -16.74444 1.0 -0.8 1.9 -0.28
O 13.93164 -21.73891 -17.87922 -0.6 -0.1 -0.7 -0.20
P 13.18079 -23.17040 -17.89248 0.7 0.6 0.6 0.40
O 12.13740 -23.32762 -16.88099 0.2 0.1 -0.1 -0.22
O 12.72400 -23.33919 -19.39785 0.4 -0.2 0.0 -0.19
C 12.16228 -22.23204 -20.13693 0.0 -0.3 0.2 -0.24
C 13.22057 -21.56082 -20.97900 -0.7 1.2 0.7 -0.08
O 14.42886 -24.14337 -17.70662 -1.7 0.2 -0.1 -0.17
C 15.20474 -24.66462 -18.76729 1.6 1.1 0.0 -0.25
C 16.62278 -24.05042 -18.64771 0.3 -1.1 0.9 -0.06
H 15.07959 -19.58836 -17.73053 0.3 1.2 0.5 0.08
H 15.02028 -19.29189 -15.85784 -0.3 0.5 -0.5 0.08
H 16.12652 -20.35659 -16.62707 -0.4 -1.0 0.2 0.07
H 13.91116 -21.50761 -15.84583 -0.4 0.0 0.0 0.12
H 13.00103 -20.25249 -16.70671 -0.2 -0.2 -0.3 0.12
H 11.35343 -22.62966 -20.75091 0.1 -0.2 0.0 0.12
H 11.68690 -21.55752 -19.42116 0.2 0.2 -0.1 0.12
H 12.71688 -20.64434 -21.31092 0.2 -0.2 -0.7 0.08
H 14.00554 -21.15719 -20.33903 0.3 -0.4 -0.1 0.07
H 13.59569 -22.16172 -21.80111 0.0 0.0 0.0 0.08
H 15.26182 -25.72562 -18.51563 0.1 0.0 -0.8 0.12
H 14.83373 -24.43874 -19.76712 -0.6 -0.3 0.2 0.11
H 17.25000 -24.32794 -19.49636 0.0 -0.3 0.1 0.07
H 16.82071 -22.99559 -18.45355 -1.1 0.3 -0.4 0.06
H 16.97596 -24.49975 -17.71299 0.6 -0.1 -0.3 0.08
C 19.47596 -22.16361 -20.60332 -0.8 -0.7 -0.6 -0.06
C 18.68453 -21.17631 -19.76391 1.3 0.9 -0.8 -0.25
O 19.22713 -19.85336 -20.06219 -0.2 0.9 -0.5 -0.20
P 18.26971 -18.90470 -20.96714 1.3 -1.0 0.7 0.41
O 17.09217 -18.55156 -20.17375 -0.6 0.3 -0.6 -0.22
O 19.24365 -17.75714 -21.44895 -0.1 -0.4 0.2 -0.20
C 18.82136 -16.83317 -22.48611 -1.0 -0.9 -1.1 -0.23
C 18.54241 -15.48999 -21.91133 -0.2 1.2 1.0 -0.06
O 18.07095 -19.71810 -22.34135 -0.8 0.5 1.0 -0.17
C 16.80376 -20.31395 -22.62936 -1.6 -0.2 -0.4 -0.25
C 15.64419 -19.33982 -22.95910 1.7 0.8 -1.4 -0.06
_Here it is_
Properties=species:S:1:pos:R:3:forces:R:3:nbo_charge:R:1
C -1.73838 -0.38062 0.30515 -0.2 -0.1 0.3 -0.62
C -0.80276 0.07426 -0.81033 -1.8 -1.7 -2.6 -0.25
C 1.40768 -0.24553 0.64887 -0.5 1.1 -5.3 -0.52
N 0.28983 0.78315 -0.28224 2.6 -0.6 1.5 -0.67
O 3.10733 0.03268 -1.57983 -0.3 1.4 2.5 -1.14
O 3.14265 1.80485 0.44572 0.0 0.1 -1.4 -1.01
O 4.32920 -0.51613 0.62628 -1.8 1.2 -0.2 -1.16
P 3.20296 0.24923 -0.06707 0.2 -2.2 -0.5 2.31
S 1.14937 -1.95886 0.07471 0.1 0.3 0.8 -0.09
H -0.97358 -0.59196 1.09818 -1.3 0.0 -0.1 0.21
H -2.51949 0.34222 0.65286 0.8 -0.4 -0.1 0.19
H -2.22709 -1.34138 -0.00064 0.2 0.8 0.5 0.19
H -1.25954 0.50356 -1.76515 0.2 0.7 1.6 0.19
H -0.68239 -0.92455 -1.34393 1.3 0.6 0.6 0.16
H 1.07760 -0.11657 1.62492 -0.2 0.4 1.7 0.18
H 0.84624 1.26778 -0.99812 -0.1 -0.7 0.4 0.38
H 3.37573 1.88086 1.36157 0.3 -0.2 0.7 0.49
H 2.45082 -2.02627 -0.14488 0.5 -0.7 -0.3 0.16
```
Forces are in eV/Å.


The following is a quantum chemistry calculation of 5 unconnected molecules or ions with the total composition C27H64O19P4 at a distorted geometry, from the OMol25 dataset.

## Properties
SMILES: CCOP(=O)(OCC)OCC.CCOP(=O)(OCC)OCC.CCOP(=O)(OCC)OCC.CCOP(=O)(OCC)OCC.O=C1OCCO1
Spin multiplicity: 1
Total charge: 0
Orbital gap (eV): 10.417

Geometry as XYZ:
```
114
Properties=species:S:1:pos:R:3:forces:R:3:lowdin_charge:R:1
C 14.78172 -13.77882 -25.36760 -1.6 0.6 -0.2 -0.14
C 15.20687 -14.93340 -24.49463 0.0 -0.3 -1.1 -0.10
O 16.63230 -14.75099 -24.52066 0.2 -0.6 0.9 0.05
C 16.98092 -14.06051 -25.60646 0.4 1.2 -1.1 -0.58
O 18.07844 -13.83862 -26.01653 -0.1 -0.6 0.6 0.16
O 15.88284 -13.54271 -26.22004 0.2 -0.2 0.5 0.07
H 14.52850 -12.90028 -24.76290 0.4 0.1 -0.1 0.13
H 13.91374 -13.93986 -26.01027 0.0 -0.4 0.2 0.13
H 14.99713 -15.88773 -24.98561 -0.1 -0.1 0.2 0.13
H 14.77332 -14.91516 -23.50011 0.4 0.1 0.2 0.13
C 15.10586 -19.97358 -16.70216 0.0 -0.1 -1.4 -0.07
C 13.88940 -20.88164 -16.74444 1.0 -0.8 1.9 -0.28
O 13.93164 -21.73891 -17.87922 -0.6 -0.1 -0.7 -0.20
P 13.18079 -23.17040 -17.89248 0.7 0.6 0.6 0.40
O 12.13740 -23.32762 -16.88099 0.2 0.1 -0.1 -0.22
O 12.72400 -23.33919 -19.39785 0.4 -0.2 0.0 -0.19
C 12.16228 -22.23204 -20.13693 0.0 -0.3 0.2 -0.24
C 13.22057 -21.56082 -20.97900 -0.7 1.2 0.7 -0.08
O 14.42886 -24.14337 -17.70662 -1.7 0.2 -0.1 -0.17
C 15.20474 -24.66462 -18.76729 1.6 1.1 0.0 -0.25
C 16.62278 -24.05042 -18.64771 0.3 -1.1 0.9 -0.06
H 15.07959 -19.58836 -17.73053 0.3 1.2 0.5 0.08
H 15.02028 -19.29189 -15.85784 -0.3 0.5 -0.5 0.08
H 16.12652 -20.35659 -16.62707 -0.4 -1.0 0.2 0.07
H 13.91116 -21.50761 -15.84583 -0.4 0.0 0.0 0.12
H 13.00103 -20.25249 -16.70671 -0.2 -0.2 -0.3 0.12
H 11.35343 -22.62966 -20.75091 0.1 -0.2 0.0 0.12
H 11.68690 -21.55752 -19.42116 0.2 0.2 -0.1 0.12
H 12.71688 -20.64434 -21.31092 0.2 -0.2 -0.7 0.08
H 14.00554 -21.15719 -20.33903 0.3 -0.4 -0.1 0.07
H 13.59569 -22.16172 -21.80111 0.0 0.0 0.0 0.08
H 15.26182 -25.72562 -18.51563 0.1 0.0 -0.8 0.12
H 14.83373 -24.43874 -19.76712 -0.6 -0.3 0.2 0.11
H 17.25000 -24.32794 -19.49636 0.0 -0.3 0.1 0.07
H 16.82071 -22.99559 -18.45355 -1.1 0.3 -0.4 0.06
H 16.97596 -24.49975 -17.71299 0.6 -0.1 -0.3 0.08
C 19.47596 -22.16361 -20.60332 -0.8 -0.7 -0.6 -0.06
C 18.68453 -21.17631 -19.76391 1.3 0.9 -0.8 -0.25
O 19.22713 -19.85336 -20.06219 -0.2 0.9 -0.5 -0.20
P 18.26971 -18.90470 -20.96714 1.3 -1.0 0.7 0.41
O 17.09217 -18.55156 -20.17375 -0.6 0.3 -0.6 -0.22
O 19.24365 -17.75714 -21.44895 -0.1 -0.4 0.2 -0.20
C 18.82136 -16.83317 -22.48611 -1.0 -0.9 -1.1 -0.23
C 18.54241 -15.48999 -21.91133 -0.2 1.2 1.0 -0.06
O 18.07095 -19.71810 -22.34135 -0.8 0.5 1.0 -0.17
C 16.80376 -20.31395 -22.62936 -1.6 -0.2 -0.4 -0.25
C 15.64419 -19.33982 -22.95910 1.7 0.8 -1.4 -0.06